How do I create a weighted rubric?
With weighted grading, scores for each criterion record as a specified percentage of the total points possible for the rubric. This strategy is similar to weighted course grading for which points scored in assignments, exams, and discussions in a class of 100% are weighted towards 10%, 40%, and 50% of the final course grade calculation.
In the case of a weighted rubric, the highest rating level for each criterion must be calculated of the total points possible for the overall rubric. As an example, if the assignment you plan to grade with this rubric uses a maximum possible score of 100 points, each criterion within the rubric must graded using 100 points as the highest score. This allows the correct number of weighted points to be awarded.
Note: Once a rubric is in use with an assignment, it will appear with a lock icon next to it, indicating that it cannot be edited.
Go to Rubrics.

Select the Rubrics tool from the tool menu of your site.
The page is interrupted by data records
=====
The molecule C12H14O5 in a non-equilibrium geometry. Source: the Open Molecules 2025 dataset; level of theory: wB97M-V/def2-TZVPD.

energy relative to the best compared isomer or geometry (same formula, charge and spin)	167.6	kJ/mol
multiplicity	1
LUMO level	0.5507	eV
E_HOMO	-0.33873	Eh
SMILES string	COC(=O)C1=C(C)[C@H]2O[C@H]2[C@H]2C[C@@]12C(=O)OC
calculated total energy	-841.71165	hartree

Cartesian coordinates (Å):
1 O 0.7112 -2.5837 1.2863
2 O 1.5742 -0.5553 1.3528
3 O -3.2717 1.1605 0.2095
4 O 1.6462 1.3142 -1.6988
5 O 1.0284 -0.8229 -2.1638
6 C -2.0654 1.7720 0.5947
7 C -1.7503 -0.6135 1.4041
8 C -0.5694 -0.7346 0.3435
9 C 0.6895 -1.2776 1.0860
10 C -0.3174 0.4513 -0.5937
11 C 1.9627 -3.0914 1.6193
12 C -0.9936 1.6559 -0.4399
13 C -1.8726 -1.6440 0.3256
14 C 2.9728 0.9744 -1.9033
15 C 0.8168 0.2114 -1.5453
16 C -0.9386 2.7611 -1.4452
17 C -2.7307 0.5624 1.3639
18 H -2.4235 -1.4309 -0.6133
19 H 2.1082 -4.1984 1.3999
20 H -1.9362 2.5371 1.2963
21 H 2.7721 -2.5133 1.1944
22 H -0.1930 2.7684 -2.1984
23 H 2.0182 -2.8832 2.6755
24 H -1.8225 2.7319 -2.0202
25 H -1.3313 -1.0370 2.3564
26 H -1.8861 -2.7308 0.5755
27 H 3.5091 0.7455 -0.9782
28 H 3.1834 0.1548 -2.6141
29 H -0.9264 3.7192 -0.9101
30 H 3.3089 1.8388 -2.3254
31 H -3.2729 0.7575 2.3661

----------

Computed, not measured: a structure of composition C31H45AgN15O3 in a non-equilibrium geometry, with wB97M-V/def2-TZVPD.

Results
lowest unoccupied orbital energy	2.1	eV
orbital gap	0.303	Ha
charge	-1
energy	-65368.1305	eV

CARTESIAN COORDINATES (ANGSTROEM)
Ag: -0.571 -19.284 12.283
O: -0.637 -18.050 10.409
O: -0.800 -18.572 8.222
O: -0.230 -20.238 9.629
N: 1.475 -16.676 14.383
N: 2.742 -19.273 4.355
N: -5.451 -15.532 9.383
N: -2.079 -14.257 9.708
N: -4.237 -21.919 6.207
N: 3.325 -17.721 19.669
N: 4.167 -21.651 13.385
N: 5.071 -16.888 13.227
N: 2.959 -15.678 8.701
N: 5.770 -19.732 9.395
N: -0.513 -20.286 14.289
N: -3.823 -22.845 12.031
N: 2.807 -21.868 8.914
N: -3.583 -18.344 13.201
N: 0.060 -24.665 12.914
C: -2.193 -14.688 10.789
C: 0.584 -23.753 12.469
C: 1.278 -22.601 11.869
C: -2.155 -15.278 12.104
C: 1.823 -15.655 8.657
C: 4.635 -19.616 9.630
C: 1.869 -21.759 8.251
C: -3.093 -22.760 11.169
C: 0.056 -20.780 15.136
C: 3.852 -17.089 17.236
C: 1.147 -15.674 11.990
C: 5.536 -15.849 10.909
C: 2.332 -18.600 6.861
C: -3.359 -21.158 6.151
C: 4.903 -22.179 12.676
C: -4.608 -16.248 9.135
C: -0.532 -19.019 9.364
C: -3.584 -17.089 8.621
C: -2.297 -20.234 5.956
C: 0.846 -21.538 7.109
C: 2.577 -18.976 5.449
C: 0.628 -21.556 16.270
C: -2.148 -22.605 10.069
C: 0.395 -15.654 8.416
C: 3.559 -17.396 18.604
C: 5.192 -16.556 12.160
C: -4.878 -19.478 11.241
C: 3.352 -19.323 10.223
C: 1.329 -16.261 13.319
C: -4.078 -18.810 12.256
C: 5.618 -22.803 11.588
H: 1.429 -21.486 6.235
H: 0.171 -20.692 7.278
H: 6.200 -22.130 11.015
H: 6.133 -23.732 11.902
H: -1.986 -19.726 6.856
H: 4.907 -23.201 10.919
H: 1.312 -18.861 7.077
H: 0.256 -22.378 7.083
H: 5.106 -14.886 10.892
H: -1.446 -20.778 5.493
H: -2.685 -19.496 5.192
=====
Switch a rubric to weighted grading.

Click the hashtag icon (Switch to Weighted Grading) associated with a rubric. See How do I add a rubric to my site? for information about creating a new rubric.
The hashtag icon (Switch to Weighted Grading) will toggle to a percentage icon (Switch to Standard Grading) once you've changed to weighted grading.
Add percentage weights to each criterion, and edit the points for ratings.
- Add percentage weightings to the Weight field for each criterion. These should align with the weightings that are important to the outcomes of the assignment.
- Update the ratings for each criterion, ensuring that the highest possible value for each is equal across all criteria. For each criterion, click the pencil icon (Edit Rating), and edit the rating.
- Update the other ratings for each criterion so that there is a logical progression from low to high scores. In the example shown, the ratings in the Content criterion progress from a rating of 1 to 5 to 10. Click the pencil icon (Edit Rating) and edit the ratings for the all criteria in this way.
- Click Save Weights.
- the highest rating for each criterion must be equal to the total possible points for the course assignment that you intend to grade using this rubric.
- the percent weights entered for the rubric must add to 100%.
Grade with the weighted rubric.
Use the weighted rubric with tools like the Assignments tool. When grading an item using a weighted rubric, the weighted points are shown in bold and parenthesis inside each rating cell.
In the example with an assignment valued of 10 points, the Content criterion is set to 60%, so the weighted rubric will calculate 60% of 10 with 6 points possible. The Style criterion is set to 30%, so the rubric will calculate 30% of 10 with 3 points possible. The third criterion, Grammar, is set to 10%, so the weighted rubric calculates 10% of 100, or 1 point.
When you add the total possible points for the rubric, you get 6+3+1=10. Students graded according to this rubric will receive a weighted amount of points for each rating level selected.